File.
-- begin --
# AcGa2MoO8 GGA+U optimized geometry
data_AcGa2MoO8
_cell_length_a 4.7003
_cell_length_b 4.7001
_cell_length_c 7.2208
_cell_angle_alpha 87.80
_cell_angle_beta 87.76
_cell_angle_gamma 88.10
_space_group_name_H-M_alt 'P 1'
_space_group_IT_number 1
_space_group_name_Hall 'P 1'
loop_
_atom_site_label
_atom_site_type_symbol
_atom_site_fract_x
_atom_site_fract_y
_atom_site_fract_z
_atom_site_occupancy
O1 O 0.2972 0.2977 0.9890 1
O2 O 0.1980 0.8003 0.1960 1
O3 O 0.6454 0.6441 0.5618 1
O4 O 0.7996 0.1976 0.1963 1
O5 O 0.3546 0.3559 0.4382 1
O6 O 0.8020 0.1997 0.8040 1
O7 O 0.7028 0.7023 0.0110 1
O8 O 0.2004 0.8024 0.8037 1
Ga1 Ga 0.4709 0.4710 0.1949 1
Ga2 Ga 0.5291 0.5290 0.8051 1
Ac1 Ac 0.0000 0.0000 0.5000 1
Mo1 Mo 0.0000 0.0000 0.0000 1
# total DFT energy (no corrections)	-6.60	eV per atom

* * * * *

# KLi2As

A relaxed KLi2As crystal (PBEsol, Alexandria).

The formation energy from the elements comes out at -185 kJ/mol of formula units. As for the total magnetization: 0.00 μB per atom.

It has space group Immm (No. 71), with a = 4.7551 Å, b = 4.7962 Å, c = 6.7575 Å, α = 90.00°, β = 90.00° and γ = 90.00°. Symmetry generates all atoms from K at (0.0000, 0.0000, 0.0000), Li at (0.0000, 0.5000, 0.2475) and As at (0.0000, 0.0000, 0.5000).

# Ca2LaIr2

A relaxed Ca2LaIr2 crystal (PBEsol, Alexandria).

The formation energy from the elements comes out at -102 kJ/mol of formula units. As for the total magnetization: 0.00 μB per atom.

It has space group I4/mmm (No. 139), with a = 4.3065 Å, b = 4.3065 Å, c = 12.8351 Å, α = 90.00°, β = 90.00° and γ = 90.00°. Symmetry generates all atoms from Ca at (0.0000, 0.5000, 0.2500), La at (0.0000, 0.0000, 0.0000) and Ir at (0.0000, 0.0000, 0.4026).

# CdNiBr4

A relaxed CdNiBr4 crystal (PBEsol, Alexandria).

Its formation energy from raw total energies is 0.935 eV per atom. As for the total magnetization: 0.11 μB per atom.

It has space group F-43m (No. 216), with a = 8.5483 Å, b = 8.5483 Å, c = 8.5483 Å, α = 90.00°, β = 90.00° and γ = 90.00°. Symmetry generates all atoms from Cd at (0.0000, 0.0000, 0.0000), Ni at (0.2500, 0.2500, 0.7500) and Br at (0.1251, 0.1251, 0.3749).

# Cu3Sb4O6F6

A relaxed Cu3Sb4O6F6 crystal (PBEsol, Alexandria).

Its formation energy from raw total energies is -1.447 eV per atom. As for the total magnetization: 0.15 μB per atom.

It has space group I-43m (No. 217), with a = 8.0484 Å, b = 8.0484 Å, c = 8.0484 Å, α = 90.00°, β = 90.00° and γ = 90.00°. Symmetry generates all atoms from Cu at (0.0000, 0.0000, 0.5000), Sb at (0.1654, 0.1654, 0.8346), O at (0.0000, 0.0000, 0.2544) and F at (0.0000, 0.2500, 0.5000).

# ZrAlRe

A relaxed ZrAlRe crystal (PBEsol, Alexandria).

The formation energy from the elements comes out at -26 kJ/mol of formula units. As for the total magnetization: 0.00 μB per atom.

It has space group Fmm2 (No. 42), with a = 3.3023 Å, b = 4.5675 Å, c = 13.3000 Å, α = 90.00°, β = 90.00° and γ = 90.00°. Symmetry generates all atoms from Zr at (0.0000, 0.0000, 0.0000), Al at (0.0000, 0.0000, 0.6810) and Re at (0.0000, 0.0000, 0.3320).

# NbFe2SiTc

A relaxed NbFe2SiTc crystal (PBEsol, Alexandria).

Its formation energy from raw total energies is 1.730 eV per atom. As for the total magnetization: 0.97 μB per atom.

It has space group P4/mmm (No. 123), with a = 4.2921 Å, b = 4.2921 Å, c = 4.6792 Å, α = 90.00°, β = 90.00° and γ = 90.00°. Symmetry generates all atoms from Nb at (0.0000, 0.0000, 0.0000), Fe at (0.0000, 0.5000, 0.0000), Si at (0.0000, 0.0000, 0.5000) and Tc at (0.5000, 0.5000, 0.5000).

For the records above, the corresponding uncorrected energy values read -24.17, -60.63, -36.89, -203.58, -107.12, -37.11 eV/cell.

* * * * *

LiCd | OQMD via LeMat-Bulk | PBE | optimized geometry; final energy = -1.362 eV per atom; density = 5.077 Mg/m³; SG = P6_3/mmc; volume = 19.5 A^3/atom
1.0
3.949 0.000 0.000
-1.974 3.420 0.000
0.000 0.000 5.782
Li Cd
2 2
direct
0.000 0.000 0.000 Li
0.000 0.000 0.500 Li
0.333 0.667 0.250 Cd
0.667 0.333 0.750 Cd
-- stop --
Job.
Transcribe the whole of the calculation results further above exactly.
Written answer.
# AcGa2MoO8 GGA+U optimized geometry
data_AcGa2MoO8
_cell_length_a 4.7003
_cell_length_b 4.7001
_cell_length_c 7.2208
_cell_angle_alpha 87.80
_cell_angle_beta 87.76
_cell_angle_gamma 88.10
_space_group_name_H-M_alt 'P 1'
_space_group_IT_number 1
_space_group_name_Hall 'P 1'
loop_
_atom_site_label
_atom_site_type_symbol
_atom_site_fract_x
_atom_site_fract_y
_atom_site_fract_z
_atom_site_occupancy
O1 O 0.2972 0.2977 0.9890 1
O2 O 0.1980 0.8003 0.1960 1
O3 O 0.6454 0.6441 0.5618 1
O4 O 0.7996 0.1976 0.1963 1
O5 O 0.3546 0.3559 0.4382 1
O6 O 0.8020 0.1997 0.8040 1
O7 O 0.7028 0.7023 0.0110 1
O8 O 0.2004 0.8024 0.8037 1
Ga1 Ga 0.4709 0.4710 0.1949 1
Ga2 Ga 0.5291 0.5290 0.8051 1
Ac1 Ac 0.0000 0.0000 0.5000 1
Mo1 Mo 0.0000 0.0000 0.0000 1
# total DFT energy (no corrections)	-6.60	eV per atom

* * * * *

# KLi2As

A relaxed KLi2As crystal (PBEsol, Alexandria).

The formation energy from the elements comes out at -185 kJ/mol of formula units. As for the total magnetization: 0.00 μB per atom.

It has space group Immm (No. 71), with a = 4.7551 Å, b = 4.7962 Å, c = 6.7575 Å, α = 90.00°, β = 90.00° and γ = 90.00°. Symmetry generates all atoms from K at (0.0000, 0.0000, 0.0000), Li at (0.0000, 0.5000, 0.2475) and As at (0.0000, 0.0000, 0.5000).

# Ca2LaIr2

A relaxed Ca2LaIr2 crystal (PBEsol, Alexandria).

The formation energy from the elements comes out at -102 kJ/mol of formula units. As for the total magnetization: 0.00 μB per atom.

It has space group I4/mmm (No. 139), with a = 4.3065 Å, b = 4.3065 Å, c = 12.8351 Å, α = 90.00°, β = 90.00° and γ = 90.00°. Symmetry generates all atoms from Ca at (0.0000, 0.5000, 0.2500), La at (0.0000, 0.0000, 0.0000) and Ir at (0.0000, 0.0000, 0.4026).

# CdNiBr4

A relaxed CdNiBr4 crystal (PBEsol, Alexandria).

Its formation energy from raw total energies is 0.935 eV per atom. As for the total magnetization: 0.11 μB per atom.

It has space group F-43m (No. 216), with a = 8.5483 Å, b = 8.5483 Å, c = 8.5483 Å, α = 90.00°, β = 90.00° and γ = 90.00°. Symmetry generates all atoms from Cd at (0.0000, 0.0000, 0.0000), Ni at (0.2500, 0.2500, 0.7500) and Br at (0.1251, 0.1251, 0.3749).

# Cu3Sb4O6F6

A relaxed Cu3Sb4O6F6 crystal (PBEsol, Alexandria).

Its formation energy from raw total energies is -1.447 eV per atom. As for the total magnetization: 0.15 μB per atom.

It has space group I-43m (No. 217), with a = 8.0484 Å, b = 8.0484 Å, c = 8.0484 Å, α = 90.00°, β = 90.00° and γ = 90.00°. Symmetry generates all atoms from Cu at (0.0000, 0.0000, 0.5000), Sb at (0.1654, 0.1654, 0.8346), O at (0.0000, 0.0000, 0.2544) and F at (0.0000, 0.2500, 0.5000).

# ZrAlRe

A relaxed ZrAlRe crystal (PBEsol, Alexandria).

The formation energy from the elements comes out at -26 kJ/mol of formula units. As for the total magnetization: 0.00 μB per atom.

It has space group Fmm2 (No. 42), with a = 3.3023 Å, b = 4.5675 Å, c = 13.3000 Å, α = 90.00°, β = 90.00° and γ = 90.00°. Symmetry generates all atoms from Zr at (0.0000, 0.0000, 0.0000), Al at (0.0000, 0.0000, 0.6810) and Re at (0.0000, 0.0000, 0.3320).

# NbFe2SiTc

A relaxed NbFe2SiTc crystal (PBEsol, Alexandria).

Its formation energy from raw total energies is 1.730 eV per atom. As for the total magnetization: 0.97 μB per atom.

It has space group P4/mmm (No. 123), with a = 4.2921 Å, b = 4.2921 Å, c = 4.6792 Å, α = 90.00°, β = 90.00° and γ = 90.00°. Symmetry generates all atoms from Nb at (0.0000, 0.0000, 0.0000), Fe at (0.0000, 0.5000, 0.0000), Si at (0.0000, 0.0000, 0.5000) and Tc at (0.5000, 0.5000, 0.5000).

For the records above, the corresponding uncorrected energy values read -24.17, -60.63, -36.89, -203.58, -107.12, -37.11 eV/cell.

* * * * *

LiCd | OQMD via LeMat-Bulk | PBE | optimized geometry; final energy = -1.362 eV per atom; density = 5.077 Mg/m³; SG = P6_3/mmc; volume = 19.5 A^3/atom
1.0
3.949 0.000 0.000
-1.974 3.420 0.000
0.000 0.000 5.782
Li Cd
2 2
direct
0.000 0.000 0.000 Li
0.000 0.000 0.500 Li
0.333 0.667 0.250 Cd
0.667 0.333 0.750 Cd